Is that the proper usage? I don’t quite understand how a publication links to a collection. I assume MiniMongo catches the publication and sets the collection to equal the publication results (the correct search results in this case), but I’m not sure.
Maybe MiniMongo just appends the results to the in-memory representation and I still have to filter it on the client side using regex find?
This looks fine (assuming the $text query works - never used that before). You should probably just omit the [keyword] dependency in the useTracker hook.
When you have several subscriptions for a mongo collection, all the results get synced into the same mini-mongo collection. If you have only one subscription with a changeable parameter (like your keyword) you will still have overlapping results with each change of the parameter. If you change the keyword you will get the new results added before the old results get removed. This may or may not be noticeable in the ui. If you are sure you only have on subscription active at any time and over-fetching on parameter change doesn’t bother you, then there’s no problem.
Quite often you will have to filter the data client-side to prevent this over-fetching. So if you can do it easily, just do it. If you have several subscriptions and you need to keep the results of them apart and you can’t filter the results in mini-mongo then you can set up the publications to use separate local collections in the client. I use tunguska:reactive-aggregate quite a bit (and aggregation-pipelines are way beyond mini-mongo), and I always set up client-collections for those publications.
Hi, I am not sure search makes a lot of sense with a publication. Unless perhaps you search in 1-2 fields for something like a last name or so.
A proper text search in Mongo requires a search index instead of a DB index. It happens that this has been published just the day before yesterday: Analysis Paralysis: Building the Right Search Index for Your App - YouTube
-- Records of molecules from another source follow --
Here is C22H33BrNOPt as an isolated structure from OMol25. Energies are from ωB97M-V with the def2-TZVPD basis set.

The geometry in XYZ format:
```
59
Properties=species:S:1:pos:R:3:forces:R:3
Pt 0.35261 0.58578 -0.78674 -0.1447 0.0764 0.1093
Br 0.53528 2.02417 -3.00585 0.0723 -0.0048 0.0201
O 5.68878 2.93674 -2.70899 0.0055 0.0252 -0.0323
N 2.29680 1.18708 -1.21355 0.0341 0.0239 -0.0518
C -1.03010 1.29408 2.09640 -0.0083 0.0445 0.0244
C 4.61095 2.35222 -2.18841 -0.0697 -0.0497 0.0522
C -2.99114 0.25697 -0.68035 -0.0071 0.0846 -0.0182
C -2.89780 1.62388 -1.37090 -0.0045 0.0662 0.0278
C -1.57458 2.63003 1.58473 -0.0591 -0.0311 0.0714
C 0.07292 -1.79155 0.10415 -0.1746 -0.0271 -0.1675
C 0.32180 -0.59397 0.93664 -0.0499 0.0368 0.3131
C 0.88563 -3.76878 1.31853 0.0132 0.0240 0.0083
C -1.63091 -0.20380 -0.12878 -0.0181 -0.0653 -0.0227
C -1.08784 -1.53403 -0.54188 0.0479 -0.1092 -0.0281
C 4.62998 1.58052 -1.02516 0.0283 0.0062 -0.0032
C -0.86533 0.23183 1.01216 0.2566 0.0778 -0.2072
C 0.32747 1.60552 2.74716 -0.0093 -0.0258 -0.0367
C -4.04707 0.28600 0.43395 -0.0053 -0.0178 -0.0166
C -3.51345 -0.72815 -1.73810 0.0794 -0.0052 -0.0020
C 0.58586 -3.87417 -1.16611 -0.0196 -0.0070 0.0168
C 2.43752 -2.51356 -0.18982 0.0168 -0.0012 -0.0147
C 2.30420 1.93083 -2.31989 -0.0669 -0.0512 0.0435
C 0.99003 -2.97901 0.00354 -0.0027 -0.0417 0.0140
C 3.45755 1.01792 -0.57174 0.0447 0.0184 -0.0365
C -1.93547 0.70951 3.19408 -0.0127 0.0005 0.0253
C 3.39901 2.53740 -2.86330 0.0015 0.0477 -0.0815
H -4.47620 -0.37024 -2.10294 0.0080 0.0130 -0.0092
H -2.84297 -0.80017 -2.59712 0.0186 -0.0232 0.0120
H 2.54139 -1.93350 -1.11018 -0.0022 0.0059 0.0080
H -3.89405 1.94386 -1.68245 0.0029 0.0025 0.0149
H 3.09945 -3.37835 -0.25627 -0.0063 0.0041 0.0003
H 1.15343 -3.14824 2.17711 -0.0007 -0.0112 -0.0067
H 3.42684 0.41353 0.32325 0.0035 0.0073 -0.0020
H 1.56305 -4.62415 1.29788 -0.0050 0.0049 -0.0009
H 0.19054 2.39334 3.48786 -0.0057 -0.0014 -0.0026
H 1.25486 -4.73360 -1.22696 -0.0019 0.0103 0.0013
H 1.04916 1.96357 2.00826 0.0020 -0.0148 -0.0015
H -2.57764 2.55982 1.17471 0.0120 -0.0125 0.0831
H -4.10801 -0.68244 0.93462 0.0060 0.0022 0.0112
H -0.42918 -4.25535 -1.04060 0.0059 0.0084 -0.0045
H 2.78006 -1.90766 0.65293 -0.0098 0.0043 -0.0081
H -1.52419 -2.13968 -1.31695 0.0141 -0.0212 -0.0007
H -3.66920 -1.72656 -1.32720 -0.0148 0.0148 -0.0042
H 3.34696 3.12958 -3.76525 0.0068 -0.0043 0.0157
H 0.74458 0.74416 3.27044 -0.0014 0.0049 -0.0084
H 5.54888 1.42054 -0.47678 -0.0062 0.0001 -0.0073
H -2.92992 0.46266 2.82914 0.0520 0.0063 0.0418
H -2.04003 1.43238 4.00510 0.0012 -0.0099 -0.0002
H -3.85805 1.04628 1.18467 0.0059 0.0340 -0.0338
H -0.91402 3.03515 0.81525 0.0010 0.0227 -0.0086
H -2.28585 1.54376 -2.27169 -0.0167 0.0027 -0.0106
H -2.47315 2.39888 -0.73533 -0.0293 -0.0938 -0.1473
H -0.12970 -4.13755 1.46905 0.0064 -0.0005 0.0003
H 0.63788 -3.33345 -2.11331 0.0045 -0.0063 0.0010
H 1.14358 -0.52098 1.63199 -0.0236 -0.0183 0.0474
H -1.49427 -0.19945 3.60860 -0.0053 0.0059 -0.0022
-- The entry goes on --
Hi, thanks for the replies! I see now that publications just add new data in the client, so you still have to filter client-side somehow.
Methods are used for mutations, so the only way to get data is using publications, right?
You should probably just omit the [keyword] dependency in the useTracker hook.
The keyword comes from the query string, and it changes on form submit or just loading the page, which is what I want. Not sure how to trigger the search on form submit otherwise, given I cannot use methods to retrieve data (or maybe I should?)
You could filter the MiniMongo on the client using a RegExp search. Given that it’s just a filter pass over the local database, it should still be reasonably efficient. Something like:
return MyCollection.find({
$or: keyword.split().map((word) => {textField: new RegExp(word)})
This doesn’t implement all features of $text: $search, nor its actual splitting algorithm, nor does it properly escape word. But if you decide to go with subscriptions, it’s an approach…
@gosukiwi One way to go with search on subscriptions is to publish the results to a client only collection (e.x collectionName-search) and then on the client you can just use a find().fetch() on this collection. This way you do the search and won’t have to filter the results on the client.
You could do that by using the Mongo.Collection._publishCursor method.
The downside of going with methods here is that if you still want to use minimongo to manage the results, you will need to handle the insertion/update/remove yourself (or use a package).
There’s a nifty trick that we’re using to magically make Elasticsearch work MongoDB and it looks like this:
example() {
return Collection.find(anyQueryWillWorkHere, {
fields: {
// Add new fields that are not in the database.
// They can be static:
magicFieldThatWillAppearOnTheClient: { $literal: 123456 },
// They can depend on the document values:
anotherOneButFancy: {
_Here the piece breaks off for records of molecules_
........
--- one ---
The following is a quantum chemistry calculation of 2 unconnected molecules or ions with the total composition C3H9O3, from the Open Molecules 2025 dataset.

Last column: Mulliken charge in e.
Element x y z (Å)
C -0.92 -0.23 -0.24  -0.26
O -0.11 -1.11 0.47  -1.02
C -0.50 1.29 -0.18  -0.55
C 0.55 1.55 0.86  -0.46
O 1.74 0.83 0.52  -0.59
H -0.98 -0.55 -1.30  0.24
H -1.95 -0.25 0.18  0.18
H -1.37 1.88 0.11  0.31
H -0.23 1.62 -1.18  0.27
H 0.90 2.58 0.85  0.33
H 0.15 1.22 1.83  0.24
H 1.48 -0.11 0.64  0.36
H -0.02 -3.52 -1.15  0.26
H 0.49 -2.19 -0.43  0.43
O 0.78 -3.01 -0.99  -0.75

The HOMO energy is -3.59 eV. Its net charge is -1.

---

--- two ---
The following is a quantum chemistry calculation of 2 unconnected molecules or ions with the total composition C3H9O3, from the Open Molecules 2025 dataset.

Last column: Mulliken charge in e.
Element x y z (Å)
C 1.12 0.33 0.40  -0.41
C -0.02 1.07 -0.25  -0.35
O -0.01 1.17 -1.66  -0.51
C 1.00 0.14 1.93  -0.37
O 1.98 -0.58 2.48  -0.89
H 1.25 -0.67 -0.04  0.21
H 2.09 0.78 0.14  0.32
H -0.22 2.04 0.22  0.26
H -0.89 0.46 0.02  0.18
H 0.76 1.68 -1.94  0.29
H -0.02 -0.33 2.06  0.11
H 0.97 1.17 2.34  0.16
H -2.84 -2.26 -1.15  0.33
H -2.37 -2.22 -2.60  0.32
O -2.81 -2.77 -1.96  -0.66

The HOMO energy is -2.25 eV. Its net charge is -1.

---

Top of the stability list: one, leading by 27.1 kcal/mol.

---

--- one ---
The following is a quantum chemistry calculation of a molecular structure, C3H5ClN2O, from the Open Molecules 2025 dataset.

Last column: Mulliken charge in e.
Element x y z (Å)
C 1.40 -0.80 -0.47  0.22
C -0.22 1.11 -0.59  -0.24
C -1.50 0.60 -0.53  -0.14
H 1.06 1.46 1.70  0.37
H 0.54 -1.05 -1.39  0.19
H 2.99 -0.94 0.89  0.27
H 0.27 1.97 -1.25  0.24
H -2.14 1.29 -1.19  0.31
N 0.91 0.42 -0.04  0.06
N 2.45 -1.45 -0.16  -0.66
O 1.64 1.22 0.72  -0.50
Cl -2.21 -0.63 0.37  -0.11

The HOMO energy is -8.69 eV.

---

--- two ---
The following is a quantum chemistry calculation of a molecular structure, C3H5ClN2O, from the Open Molecules 2025 dataset.

Last column: Mulliken charge in e.
Element x y z (Å)
C 0.21 -0.11 1.46  -0.17
C -0.38 -0.67 0.35  0.10
C -0.63 0.28 -0.78  -0.10
H 1.18 1.42 0.47  0.25
H 1.13 1.82 2.36  0.28
H 0.04 -0.59 2.36  0.44
H -0.66 1.34 -0.59  0.49
H 0.41 -0.97 -3.29  0.39
N 0.75 1.17 1.36  -0.57
N -0.71 -0.14 -1.95  -0.50
O -0.12 -1.33 -2.18  -0.40
Cl -1.20 -2.23 0.43  -0.19

The HOMO energy is -8.06 eV.

---

Top of the stability list: two, leading by 5.3 kcal/mol.

---

--- one ---
The following is a quantum chemistry calculation of 2 unconnected molecules or ions with the total composition C2H6NP, from the Open Molecules 2025 dataset.

Last column: Mulliken charge in e.
Element x y z (Å)
C 1.53 -0.41 -1.01  -0.25
C -0.84 -1.06 0.30  -0.57
N 1.19 0.74 -0.27  -0.31
P 0.96 -0.80 0.54  0.04
H -0.33 -1.17 -2.31  0.09
H 2.48 -0.45 -1.51  0.31
H -0.87 -1.07 -0.89  -0.11
H -1.31 -0.11 0.67  0.22
H -1.45 -1.85 0.81  0.32
H 1.81 1.58 -0.24  0.25
........
$switch: {
branches: [
{ case: { $eq: ['$someField', 'this string'] }, then: 1 },
{ case: { $eq: ['$someField', 'now another'] }, then: 2 },
default: 0,
// Because we added some fields, we have to list every single one
// of them. Unfortunately, there's no workaround for that.
What comes next are records of molecules, not part of the entry =
+++
No. 1
12 unconnected molecules or ions with the total composition C48H64IN15OPS at a distorted geometry, computed with ωB97M-V with the def2-TZVPD basis set.

Cartesian coordinates (Å):
1 I 3.4409 2.1765 -3.9968
2 S 7.4933 -1.5402 -3.0223
3 P 5.5134 1.3187 -3.0224
4 O 6.0991 2.5646 -2.1941
5 N 2.4180 1.0095 4.2017
6 N 3.8356 -0.8081 -0.0439
7 N 4.4139 -1.7314 -0.7881
8 N -1.3435 -4.4711 -1.6538
9 N -6.3573 -4.0036 6.1850
10 N 0.7551 0.3565 0.4043
11 N -3.6677 -1.4445 4.8423
12 N 6.2851 2.4905 1.8356
13 N -2.0074 1.9433 -4.1630
14 N 5.0256 -1.1670 -1.7721
15 N -3.5006 8.1782 -2.1284
16 N 2.1831 -6.4179 -1.3179
17 N 4.8431 0.1689 -1.7296
18 N -1.2574 -0.8100 -2.5658
19 N -5.7920 2.3812 -5.0154
20 C -1.6235 -5.7083 -1.1394
21 C 8.1777 -1.3965 -1.3497
22 C 3.8723 -7.4963 -0.3754
23 C -2.6965 9.1975 -1.6972
24 C 8.2138 0.0239 -0.7859
25 C -8.2271 -4.3110 7.3250
26 C -1.8160 8.2930 -3.5575
27 C -0.6351 -5.9477 -3.1429
28 C 0.4601 0.0778 1.7156
29 C -3.9754 -1.3006 6.1693
30 C -1.8830 4.0862 -3.6163
31 C -1.6415 9.2950 -2.5637
32 C 7.5790 2.9478 1.7441
33 C -2.1711 -1.1863 -1.6247
34 C -1.8675 -0.6010 5.8182
35 C -2.1926 2.6518 -5.3191
36 C -2.1192 3.9856 -5.0134
37 C 2.1806 2.2895 5.9905
38 C 4.0975 0.3480 -0.6356
39 C 0.0247 1.4466 -0.0050
40 C 5.8777 2.5075 3.1487
41 C -1.7023 -1.1746 -3.8093
42 C -0.7440 1.8547 1.0510
43 C 3.1830 -6.7629 0.6274
44 C 2.8443 0.2653 5.2708
45 C -8.5553 -3.7914 6.0435
46 C -0.4597 0.9934 2.1449
47 C 7.9976 3.2525 3.0074
48 C -1.8229 2.8089 -3.1206
49 C 3.2286 -7.2638 -1.5630
50 C 5.7722 -1.9935 -2.7430
51 C -2.8787 -0.7803 6.8011
52 C -6.6418 3.3965 -4.6750
53 C -6.4131 1.5378 -5.8953
54 C -3.2132 -1.8019 -2.2673
55 C -2.9169 -1.7907 -3.6602
56 C -7.8187 3.2033 -5.3476
57 C -0.7412 -4.6072 -2.8726
58 C -2.3859 -1.0170 4.6211
59 C -2.9705 7.6202 -3.2589
60 C 6.9209 2.9733 3.8958
61 C 2.0088 2.2435 4.6337
62 C -6.8652 -4.4323 7.3810
63 C 2.1452 -6.1114 0.0129
64 C 2.7104 1.0336 6.3951
65 C -7.6734 2.0217 -6.1233
66 C -7.3815 -3.6143 5.3630
67 C -1.1923 -6.6466 -2.0375
68 H -8.9136 -4.5666 8.1139
69 H 5.7261 2.1890 1.0651
70 H 7.4215 0.1930 -0.0611
71 H -1.1689 8.0917 -4.3948
72 H -3.4600 6.7978 -3.7524
73 H 2.4004 0.7007 3.2498
74 H -8.4095 1.5794 -6.7728
75 H -2.3622 2.1479 -6.2559
76 H 6.9161 3.1027 4.9642
77 H -8.6873 3.8370 -5.2908
78 H -2.8078 -0.5525 7.8509
79 H 8.9684 3.6356 3.2709
80 H -4.2872 -1.8039 4.1412
81 H 3.2028 -0.7414 5.1401
82 H -2.9434 9.7639 -0.8162
83 H 4.7359 -8.1252 -0.2396
84 H -0.8360 10.0062 -2.4958
85 H -1.6704 2.4452 -2.1186
86 H -0.3979 -0.3320 -2.3732
87 H 1.4026 -0.1665 -0.1526
88 H 3.7623 1.3172 -0.3125
89 H 7.7150 -2.0914 -0.6562
90 H -1.7753 4.9925 -3.0430
91 H -2.0023 -0.9808 -0.5794
92 H 9.1483 0.1716 -0.2569
93 H -4.0917 -2.2089 -1.7964
94 H 1.6308 2.9765 3.9416
95 H 4.8883 2.1887 3.4343
96 H -6.2169 -4.7841 8.1645
97 H -2.0970 -5.8154 -0.1789
98 H 1.9499 3.1282 6.6249
99 H -4.3505 7.8864 -1.6844
100 H 1.5347 -6.0755 -2.0079
101 H 0.9334 -0.7453 2.2251
102 H -5.9077 0.6699 -6.2828
+++
foo: 1,
bar: 1,
qux: 1,
By doing that, you can safely distinguish the documents coming from this publication (i.e., the $text search) without any support on the Minimongo side nor extremely inefficient $regex operator.
(If you’d like to hear more about the Elasticsearch part of it, let me know.)